ActionScript 2.0 :: Pausing Movie Clip (but Allowing Motion To Finish)
Nov 6, 2009
I am trying to get a movie clip to pause when the cursor rolls over it, and then make a darkened out area visible and have some text appear. I have succeed in doing so, but it looks funny. What I would like to do now, is once the cursor rolls over the movie clip it will finish the movie clips motion and then pause on a certain frame or frame label.
I am creating an online banner where I want movie 3 movies clips to move to different parts of the banner when a button is rolled over. the 3 movie clips move independently of each other. When I roll off the button I want the clips to move back to where they started. I have achieved this fine, but the problem is when i roll over a different button on the banner the file automatically plays the commands for that button of course. What I need to do is have each movie clip finish before the next button plays it's commands. The coding I have for the buttons is just simple.
I have created a gallery that loads pictures from the server into a movie clip within Flash MX. This works fine. Now I have been asked to take those pictures that load dynamically and allow them to be a static image so that they can be clicked on enabling the user to view them at an enlarged state.Can I create a button that talks to the movie clip allowing the pictures being loaded to pull a pop up window enlarging it?
Data records from another source follow
+++
Record 1
Here is a relaxed Li9Mn2Co5O16 crystal from the Materials Project database. Energies are from GGA+U.

Properties
Magnetization   8.00 μB/f.u.
Relative energy among the computed polymorphs   121 kJ/mol of formula units
Density   4.2 g/cm³
Formation energy from the elements   -1.825 eV per atom
Crystal system   triclinic

Cell lengths 4.9929, 5.9513, 9.8265 Å; angles 99.17, 93.58, 90.55 degrees
Closest atoms and distances in Å follow each position.
Element x y z (fractional)
Li 0.8817 0.8091 0.2505  4 O 2.00-2.18
Li 0.1245 0.6936 0.7445  6 O 2.10-2.19
Li 0.3782 0.5647 0.2556  6 O 2.06-2.23
Li 0.8794 0.3089 0.2524  6 O 2.08-2.16
Li 0.1246 0.1845 0.7422  6 O 2.10-2.21
Li 0.3773 0.0615 0.2553  6 O 2.13-2.27
Li 0.6187 0.9368 0.7508  5 O 2.01-2.24
Li 0.6182 0.4411 0.7486  6 O 2.06-2.19
Li 0.2502 0.8760 0.4990  6 O 2.10-2.13
Mn 0.9999 0.9997 0.9989  4 O 1.95-1.99
Mn 0.7508 0.6254 0.5003  6 O 1.92-1.99
Co 0.4963 0.7495 0.0049  6 O 1.91-2.11
Co 0.0000 0.4990 0.9989  6 O 1.92-2.10
Co 0.2495 0.3800 0.4999  6 O 1.90-1.94
Co 0.5035 0.2506 0.9971  6 O 1.91-2.10
Co 0.7488 0.1138 0.5006  6 O 1.95-2.14
O 0.6964 0.0303 0.1165  1 Mn 1.95, 2 Co 2.06-2.10, 3 Li 2.12-2.18
O 0.9079 0.8914 0.6158  1 Mn 1.92, 1 Co 2.01, 3 Li 2.01-2.12
O 0.2083 0.7686 0.1246  2 Co 1.91-2.09, 3 Li 2.06-2.13
O 0.7015 0.5253 0.1156  3 Co 1.93-2.09, 1 Li 2.13
O 0.9416 0.4162 0.6111  2 Co 1.94-2.14, 1 Mn 1.99, 2 Li 2.10-2.16
O 0.1930 0.2681 0.1114  2 Co 1.96-2.10, 1 Mn 1.99, 2 Li 2.14-2.18
O 0.4322 0.1803 0.6055  2 Co 1.90-1.95, 3 Li 2.09-2.11
O 0.4386 0.6334 0.6088  1 Co 1.91, 1 Mn 1.94, 3 Li 2.09-2.13
O 0.0629 0.5763 0.3922  1 Co 1.91, 1 Mn 1.94, 3 Li 2.09-2.13
O 0.2996 0.4743 0.8847  3 Co 1.92-2.09, 1 Li 2.13
O 0.5582 0.3567 0.3891  2 Co 1.94-2.14, 1 Mn 1.99, 2 Li 2.11-2.15
O 0.0645 0.1246 0.3931  2 Co 1.90-1.96, 1 Li 2.08
O 0.3044 0.9692 0.8821  1 Mn 1.95, 2 Co 2.07-2.11, 3 Li 2.08-2.18
O 0.5944 0.8289 0.3854  1 Mn 1.92, 1 Co 2.00, 3 Li 2.00-2.10
O 0.8054 0.7302 0.8885  2 Co 1.97-2.09, 1 Mn 1.99, 3 Li 2.15-2.19
O 0.7898 0.2320 0.8762  2 Co 1.91-2.07, 2 Li 2.06-2.12



Record 2
Here is a relaxed MnCuP2O8 crystal from the Materials Project database. Energies are from GGA+U.

Properties
Magnetization   4.00 μB/f.u.
Relative energy among the computed polymorphs   0 kJ/mol of formula units
Density   3.3 g/cm³
Formation energy from the elements   -2.158 eV per atom
Crystal system   monoclinic

Cell lengths 5.1602, 10.1039, 6.0486 Å; angles 89.99, 90.00, 94.21 degrees
Closest atoms and distances in Å follow each position.
Element x y z (fractional)
Mn 0.5895 0.8028 0.2501  4 O 1.91-1.94
Mn 0.4107 0.1973 0.7499  4 O 1.91-1.94
Cu 0.8499 0.3133 0.2499  4 O 1.84-1.89
Cu 0.1500 0.6865 0.7500  4 O 1.84-1.89
P 0.4139 0.1035 0.2500  4 O 1.54-1.56
P 0.5861 0.8965 0.7500  4 O 1.54-1.56
P 0.9446 0.3872 0.7499  4 O 1.53-1.57
P 0.0553 0.6127 0.2501  4 O 1.53-1.57
O 0.6205 0.0497 0.7497  1 P 1.54
O 0.3791 0.9504 0.2503  1 P 1.54
O 0.7129 0.1393 0.2500  1 P 1.56
O 0.2872 0.8606 0.7500  1 P 1.56
+++
I have 4 flyout buttons on my flash and when you RollOut of the button, it plays the closing animation. But if you quickly move the mouse back onto the button before it is finished playing the RollOut, then it gets stuck and flashes and kind of strobes.
Okay, so there is a movie on the timeline, and at the end of it there is an action frame that stops the movie so it doesn't loop.
However, the last frame on another layer is also a movie clip, of a rotating circle. This rotating circle has buttons on it that will load other parts of the site. I want the circle to stop rotating whenever someone puts their mouse over it.
I have attached the file to this document, but basically I have a street scene which will eventually have about 5-6 people walking along the stage.
Currently on rollover of a button within the movie "movement_clip" my button will go to the overstate which shows a still of the animated women standing still. However...what I want to do on rollover, is I also want to pause "movement_clip" wherever it is in the process and then continue from where it got paused on rollout.
I am simpy rotating a movie clip. This works fine. When the rotation is finished, it resets back to its original position. Argg! I can't find any information on how to capture the motion finish, or how to just make it stay in place after the rotation. Here is the line of code, which works, but resets back to original position:
I've been fumbling with this issue for a bit. I've got a lovely little tooltip movieclip that follows the user's mouse for a few seconds before it removes itself. My problem is that if there is one already there I remove it, however, I cannot seem to remove the Motion_Finish event and it still fires and possibly deletes a new tooltip. What I want is to essentially put in a line item such as: var tween(smallhelp_panel).deleteAll(); I saw a tweenlight function killtweensof(mc); However I've used the tweens I've incorporated below throughout my 30k lines of AS3 code.
Here is my tooltip handler. I call it with a simple Main_Warning("Please don't forget to save!",5); My movieclip is a 'smallhelp_panel' and I check if it already exists and remove it. However, the alpha and MOTION_FINISH tweens still exist and cause issues with any new smallhelp_panels. public function Main_Warning( the_text:String, myTimer:int = 4){ if(smallhelp_panel != null){ stage.removeChild( smallhelp_panel ); [Code] .....
It seems to be the case that the MOTION_FINISH event fires of prematurely in the Flash Tween class. I've heard that it is not the best tween engine to use, but this seems like a particularly egregious. I am using "Strong.easeOut" for the motion. What are some alternative tween engines that people like?
Anyway what I need to do is have a movie clip finish playing when a button is clicked and then go to the frame label associated with the button. I hope I'm explaining myself ok. So if I had say 4 buttons Home Gallery About Contact If Contact is clicked then I want the Home page to play (Which is a fade out) and then go to Contact Page (which will fade in). Then If Gallery is clicked then I want Contact to fade out and then go to Gallery page and fade in.
Let me start by stating that I am a complete and total noob to web design, programming of any type, and flash animation. I've spent more hours watching videos on YouTube and reading web pages than I ever should have.I've created my first flash animation for my business website that consists of four pictures moving across the pageThe problem I'm having is that as the first two pictures reach the side of the page where they exit, they pause for a second or two. This happens even when the animation is fully loaded.
need to have a movie text containing a dynamically loaded single line text box to move back and forth like a ticker tape. The text box will change content depending which button is pressed, so the length will always change. The effect is something like in the winamp display screen where the text scrolls back and forth depending on the length of the file name.I can get everything to scroll one way or another but I can't seem to get it to switch directions when it reaches a certain _X position. I've used if statements to set a variable when the _x position reaches a certain point, nested loops, everything I can think of.These are two versions of the loops I've used to move the clip. I've tried this in a clipEvent and as a function.
I have a button on the right side of my screen. When I click it I want a full screen menu system to come in from the right hand side and stay in place until another button is clicked.I have all the parts built, but I don't know how to use buttons properly. The only tutorials I've found are the ones that tell you how to show or hide something, or how to change the appearance of the button.
In flash cs4, i've created motion tweens on 4 separate layers with 4 different movie clip symbols that were created with the pen tool. it seems to be fine when i scrub the playhead, but when i test the movie, 2 of the movie clip graphics distort, and the bottom halves of them move faster than the top halves.
I need to move a movie clip with action script. I am writing action script to one of the layers and calling my movie clip "bird". I want to move the clip in a wave motion(like a sine wave). I am using the bird._x and bird._y and setting them equal to a variable. But the _y part of it is not moving. The movie clip is only moving from right to left and there is no upward or downward movement.
I have 10 objects in 10 layers to make a single logo. I have created them using flash drawing objects. Now I would like each object to come one by one on stage using motion tween. How can I go further? Do I need to make each object a movie clip before set it motion tween? Or do I need to make a single movie with all 10 objects as combined? Please note that I need each object to come on stage one by one (not a whole logo on once). Please provide help or any example tutorial link.
I've been going over several tutorials and whatnot and I'm confused on the point of movie clip symbols and motion tweens. To me using the other tweens and symbols are "easier". Can someone explain to me why they're so beneficial to have been added to CS4/CS5? Except I understand that movie clip symbols can be adjusted using the 3D tools but is that the only difference?
I'm having a problem getting a movie clip to Motion Tween from a positive value to a negative value. I have two movie/buttons on my stage. When you click one the other movie Tweens from a y value of 0 to a y value of 400. That works fine. However, when you click the other button, the movie clip should then Tween from a y value of 400 back to a y value of 0. I cannot get this reverse tween to work.
Code: // code for positive tween function movePeople(event:MouseEvent):void { movePlacesTween = new Tween(pageloaderB, "y", Strong.easeOut, 0, 400, 0.5, true); }
What comes next are materials data, not part of the text:
~~~
LiTm6B3O14, relaxed, DFT PBE; calculated density = 7.58 Mg/m³; calculated formation energy = -87.293 eV/f.u.
1.0
8.2977 0.0000 0.0000
0.0000 15.3890 0.0000
-8.0277 0.0000 8.7601
Li Tm B O
4 24 12 56
Direct
0.1199 0.1043 0.4385
0.1199 0.3957 0.9385
0.8801 0.6043 0.0615
0.8801 0.8957 0.5615
0.0173 0.6734 0.5567
0.0173 0.8266 0.0567
0.1507 0.6442 0.9251
0.1507 0.8558 0.4251
0.2403 0.5035 0.4393
0.2403 0.9965 0.9393
0.3336 0.0132 0.2824
0.3336 0.4868 0.7824
0.4145 0.6663 0.3359
0.4145 0.8337 0.8359
0.4505 0.1781 0.8074
0.4505 0.3219 0.3074
0.5495 0.6781 0.6926
0.5495 0.8219 0.1926
0.5855 0.1663 0.1641
0.5855 0.3337 0.6641
0.6664 0.5132 0.2176
0.6664 0.9868 0.7176
0.7597 0.0035 0.0607
0.7597 0.4965 0.5607
0.8493 0.1442 0.5749
0.8493 0.3558 0.0749
0.9827 0.1734 0.9433
0.9827 0.3266 0.4433
0.0423 0.1926 0.2218
0.0423 0.3074 0.7218
0.2107 0.0003 0.6462
0.2107 0.4997 0.1462
0.4568 0.1727 0.5276
0.4568 0.3273 0.0276
0.5432 0.6727 0.9724
0.5432 0.8273 0.4724
0.7893 0.9997 0.3538
0.7893 0.5003 0.8538
0.9577 0.6926 0.2782
0.9577 0.8074 0.7782
0.0519 0.1051 0.2002
0.0519 0.3949 0.7002
0.0526 0.7252 0.2260
0.0526 0.7748 0.7260
0.0646 0.5796 0.7217
0.0646 0.9204 0.2217
0.1182 0.2486 0.6768
0.1182 0.2514 0.1768
0.1467 0.0863 0.6192
0.1467 0.4137 0.1192
0.1828 0.5523 0.2253
0.1828 0.9477 0.7253
0.2759 0.7318 0.1227
0.2759 0.7682 0.6227
0.2867 0.5852 0.6246
0.2867 0.9148 0.1246
0.2978 0.0982 0.1051
0.2978 0.4018 0.6051
0.3034 0.5338 0.0918
0.3034 0.9662 0.5918
0.3612 0.2053 0.5792
0.3612 0.2947 0.0792
0.4463 0.7331 0.9975
0.4463 0.7669 0.4975
0.4722 0.0896 0.9631
0.4722 0.4104 0.4631
0.4747 0.0865 0.5085
0.4747 0.4135 0.0085
0.5253 0.5865 0.9915
0.5253 0.9135 0.4915
0.5278 0.5896 0.5369
0.5278 0.9104 0.0369
0.5537 0.2331 0.5025
0.5537 0.2669 0.0025
0.6388 0.7053 0.9208
0.6388 0.7947 0.4208
0.6966 0.0338 0.4082
0.6966 0.4662 0.9082
0.7022 0.5982 0.3949
0.7022 0.9018 0.8949
0.7133 0.0852 0.8754
0.7133 0.4148 0.3754
0.7241 0.2318 0.3773
0.7241 0.2682 0.8773
0.8172 0.0523 0.2747
0.8172 0.4477 0.7747
0.8533 0.5863 0.8808
0.8533 0.9137 0.3808
0.8818 0.7486 0.8232
0.8818 0.7514 0.3232
0.9354 0.0796 0.7783
0.9354 0.4204 0.2783
0.9474 0.2252 0.2740
0.9474 0.2748 0.7740
0.9481 0.6051 0.2998
0.9481 0.8949 0.7998

LiY6B3O14, relaxed, DFT PBE; calculated density = 4.51 Mg/m³; calculated formation energy = -85.844 eV/f.u.
1.0
8.4306 0.0000 0.0000
0.0000 15.6313 0.0000
-8.1425 0.0000 8.9038
Li Y B O
4 24 12 56
Direct
0.1164 0.1058 0.4362
0.1164 0.3942 0.9362
0.8836 0.6058 0.0638
0.8836 0.8942 0.5638
0.0149 0.6736 0.5561
0.0149 0.8264 0.0561
0.1470 0.6442 0.9242
0.1470 0.8558 0.4242
0.2393 0.5038 0.4388
0.2393 0.9962 0.9388
0.3353 0.0134 0.2837
0.3353 0.4866 0.7837
0.4125 0.6663 0.3349
0.4125 0.8337 0.8349
0.4512 0.1783 0.8073
0.4512 0.3217 0.3073
0.5488 0.6783 0.6927
0.5488 0.8217 0.1927
0.5875 0.1663 0.1651
0.5875 0.3337 0.6651
0.6647 0.5134 0.2163
0.6647 0.9866 0.7163
0.7607 0.0038 0.0612
0.7607 0.4962 0.5612
0.8530 0.1442 0.5758
0.8530 0.3558 0.0758
0.9851 0.1736 0.9439
~~~
The second tween never reverses. It just stays in place.
I've also tried the same tweens using the y value of pageloaderB... so tweening from pageloaderB.y to pageloaderB.y+400, which works, but the reverse does not -- pageloaderB.y+400 to pageloaderB.y.
how to apply a rotational motion blur to a movie clip using the Tween Class and Blur Filter? I have found info on bluring an animation this way, but only via the x or the y axis, not the rotaion.
Does anyone know whether it would be possible to set a motion path for a movie clip and to have the speed of the tween set as a variable which can be increased or decreased by the user during the movie?
I'm trying to create a "motion blur" effect on a movie clip that contains a child clip/ sprite whose child clips/ sprite contain bitmap data using this function
is there a way to make it so that on any one computer.. only 1 instance of my flash movie will run?Like if they go to a site.. with my flash movie on it.. and they open up another tab.. of the same page.. only one of those flash movies will run..
I have this complex XML processing code that builds up thousands of objects on stage. This might take some time. Perhaps not that big time to bring up that message about slow code execution, however signifficant enough to cause interface uncomfortabilities. I understand very well that I can restructure my code in order to save all contextual variables, all counters in an object that is passed down to onEnterFrame events that process it a little bit and then pass it further, until the job is done. However, before I go into dissecting my code, I wanted to make sure if there really is not a way how tom tell flash player do it's frame rendering routine while a complex code is executed in background (without splitting it up).
I need detect when a movie H.264 (f4v) that terminates in an external swf and redirect to the menu again.I explain better:I have a swf which is a menu, select the item when you see film, that carries a swf AS3 swf that contains a second component of the flash player that plays the movie h.264.How can I detect that the movie ended to cut it from the stage (removeChild)?[code]
I'm working on a site that allows administrators to upload arbitrary SWFs and embed them on the page. Administrators are in theory trusted, but I still want to protect against potentially malicious administrators or misguided administrators from harming the site.
A part of the functionality of the site is that the SWFs can communicate to the containing browser page when it's finished and for the page to react.
Now, I can think of two ways to do this:
Use ExternalInterface.addCallback to create a global callback named something like isComplete that does logic and returns true or false depending on whether the Flash app is in a completed state. Then, just do something like setTimeout to just call that function repeatedly. I don't think this would require me to open up allowscriptaccess to the movie. Embed the movie with allowscriptaccess and have the movie call something like'done') when it's finished. This option seems like it requires me to open up allowscriptaccess, which is a potential threat since I can't control the SWFs that would be embedded with this directive.
I have a main movie called home.fla. In this movie I only have one frame and I have place 5 different movie clips (not SWF) on this frame at different positions but on the same layer. These five movie clips are named mc_main1, c_main2.Each of these movie clips contains 5 frames, with a button on each frame. Each of these buttons also has a movie clip inside them (mc_sub1 mc_sub5). You can only go from frame 1 to frame 2 of each clip (main1, main2 etc.) my clicking on the button on frame1.The user can go to any of the main movie clips in whichever sequence they want. For example, they can choose to go to clip main3 and click on it twice (this will take the user till frame 3 of main3 and play the movie clip that is inside frame3) and then they can decide to click on main1 once and then main4 three times until they have visited all the parts of (all the 25 mc_sub) all the movie clips (main1 main5).
Once the user has visited all the 25 mc_sub i.e. once they have finished going thru all the 5 main movie clips completely, I want to display an animation (mc_animation) on the frame1 or any other frame of the home.fla movie.Is there away to determine if the user has finished watching all the 25 mc_sub i.e. if the user has gone thru each and every frame of each of the mc_main movieclips.I think the problem is that since the user can select any of the mc_main clips in any sequence, I am finding it difficult to determine when they have finished going through everything. If it was all in a sequence then I know I could have calculated if the current frame is equal to total frames and then I would have displayed the animation if the above was true; but that is not the case here.
I have 6 scenes, the first scene has 5 pictures that i converted to buttons. each button goes to a different scene to play the appropriate movie clip. right now it shows up with scene 1, then i click on the button and it goes to the appropriate movie clip but after it finishes playing it just goes to the next clip on the next scene, then after it is finished it goes to the next clip on the next scene and so on. i would like to know is there some way i can make the movie clips return to scene 1 after they finish playing?